The program’s tax management system accommodates both Value Added Tax systems and complex multiple tax environments, as found in North America.
In its simplest form you need a single tax class, a single tax and a single tax regime. The regime is what the user associates with a customer on a sales order, job or invoice and a class is what the user associates with the part or type of product or service being sold. The rate of tax is then automatically calculated from the tax associated with the regime and the class. More complex arrangements involve multiple classes, multiple taxes and multiple regimes involving multiple taxes.
The data structure is illustrated above. There is a table of tax classes and a table of taxes. Each tax and class combination can have a non-zero tax rate. There is then a table of tax regimes (which is what the user selects for a customer or supplier) and a link file that determines which tax or taxes are applied under the regime and in what order. A total of five files make up the tax system definitions.
Customers, Suppliers and Additional Addresses are assigned a tax regime. Parts and various non-part defaults are assigned a tax class. These then provide the default regime/class combination for sales order, job and invoice line items.
When sales order or job line items are dispatched and invoice line items and sales history records are created, the prevailing tax structure is applied, and a tax identifier is stored in ledger transactions.
Ledger transaction detail is not available if you do not have the Ledgers license option.
The sales history records (that are Invoice line items) contain several fields relevant to tax:
Field | Description |
Tax Regime | Tax regime code applied. By default the customer’s tax regime is applied or that of the dispatch additional address (if one is applied). |
Tax Class | Sales tax class. Sales class appropriate to the goods being sold. The tax class applied by default is that of the part or the default sales non-part class set in the company details. |
Tax Amount | Tax applied on dispatch quantity. This is the sum value of all taxes paid for the item in the currency of the Invoice. |
Tax Details | Tax details. Tilde ~ separated string of Tax Id jst(TAXCODE,’3X’,TACCLAS,’1X’), Rate, Compound, QPDI, Tax Amount, Turnover (# separated list when multiple tax regime). {SAHFILE.SAHTAXD char 1000} This is a ‘hidden’ field that contains a set of data for each applied tax that was assigned to the tax regime at the time of invoicing. the data lists: · Tax Identifier – tax code and class. · Percent rate. · Whether the tax was calculated compound (1 or 0). · Whether quick-payment discount was taxable (1 or 0). · The tax amount in invoice currency. · The turnover value associated with the tax charge in invoice currency. Each piece of data above is separated by a tilde ~ character and if more than one tax applied to the regime, the set would be repeated and each set separated by a hash # character. The content of SAHTAXD enables the system to efficiently record the tax conditions, regardless of the current state of the tax rules. CUSTOM CAPABILITY: The $ctask.tTaxes.$MergeSAHTaxList (pTaxDetails, pMergeList, pTaxId, pTaxDecimals, pExchangeRate) method is available for dynamically extracting SAHTAXD data for use on custom reports. It merges the taxes into pMergeList and sets the pTaxId (same as $GetTaxId) applicable to the pTaxDetails (as stored in SAHTAXD) and pTaxDecimals (default 2). pMergeList must be pre-defined using $ctask.tTaxes.$DefineTaxMergeList (pMergeList, pTaxDecimals) and all values in it are resolved to local currency if pExchangeRate is set to SAHRATE rather than it’s default of 1. |
(The entry is interrupted by records of crystals)
/*
Record 1
# CuSb2O6 | the Materials Project | PBE-GGA | relaxed
data_CuSb2O6
_chemical_formula_sum 'Cu2 Sb4 O12'
_space_group_name_H-M_alt 'P 1'
_space_group_IT_number 1
_space_group_name_Hall 'P 1'
_cell_length_a 4.7105
_cell_length_b 4.7476
_cell_length_c 10.5011
_cell_angle_alpha 90.00
_cell_angle_beta 116.47
_cell_angle_gamma 90.00
loop_
_atom_site_label
_atom_site_fract_x
_atom_site_fract_y
_atom_site_fract_z
O1 0.6253 0.8067 0.8286
O2 0.3747 0.3067 0.6714
Cu1 0.0000 0.5000 0.5000
O3 0.6964 0.1852 0.5003
Sb1 0.3326 0.4974 0.8326
Sb2 0.6674 0.9974 0.6674
Sb3 0.6674 0.5026 0.1674
O4 0.3036 0.6852 0.9997
O5 0.6964 0.3148 0.0003
Cu2 0.0000 0.0000 0.0000
O6 0.3036 0.8148 0.4997
O7 0.9679 0.6871 0.6707
Sb4 0.3326 0.0026 0.3326
O8 0.6253 0.6933 0.3286
O9 0.0321 0.3129 0.3293
O10 0.3747 0.1933 0.1714
O11 0.9679 0.8129 0.1707
O12 0.0321 0.1871 0.8293
# ΔH_f (0 K) = -1.64 eV per atom
# space-group type = No. 14
# polymorph energy (0 for the lowest one) = 0.001 eV/atom
# size of the total moment = 1.00 μB/f.u.

=====

Record 2
# Al8Pb9O21 | the Materials Project | PBE-GGA | relaxed
data_Al8Pb9O21
_chemical_formula_sum 'Al32 Pb36 O84'
_space_group_name_H-M_alt 'P 1'
_space_group_IT_number 1
_space_group_name_Hall 'P 1'
_cell_length_a 13.4703
_cell_length_b 13.4703
_cell_length_c 13.4703
_cell_angle_alpha 90.00
_cell_angle_beta 90.00
_cell_angle_gamma 90.00
loop_
_atom_site_label
_atom_site_fract_x
_atom_site_fract_y
_atom_site_fract_z
Al1 0.1070 0.2816 0.9546
Al2 0.8930 0.7816 0.5454
O1 0.8790 0.3096 0.7118
Pb1 0.0000 0.0000 0.5000
Pb2 0.2755 0.7245 0.2245
O2 0.4528 0.5541 0.2031
O3 0.5472 0.4459 0.7969
O4 0.1078 0.8922 0.3922
O5 0.9528 0.9459 0.7969
Pb3 0.2654 0.9568 0.3765
O6 0.9933 0.8304 0.6152
Al3 0.4546 0.3930 0.7184
O7 0.6152 0.9933 0.8304
Al4 0.8930 0.7184 0.0454
Al5 0.2184 0.4546 0.1070
O8 0.1152 0.5067 0.1696
Pb4 0.7245 0.2245 0.2755
Al6 0.9546 0.1070 0.2816
O9 0.0067 0.3304 0.8848
Pb5 0.2245 0.2755 0.7245
O10 0.8304 0.8848 0.4933
Pb6 0.0432 0.6235 0.7346
O11 0.5000 0.0000 0.5000
Al7 0.3930 0.7184 0.4546
O12 0.5000 0.5000 0.0000
O13 0.8922 0.1078 0.6078
Al8 0.0454 0.8930 0.7184
Pb7 0.4568 0.3765 0.2346
Al9 0.1070 0.2184 0.4546
Pb8 0.7346 0.0432 0.6235
O14 0.8848 0.4933 0.8304
O15 0.7118 0.6210 0.8096
O16 0.7118 0.8790 0.3096
Pb9 0.2654 0.5432 0.8765
O17 0.0000 0.0000 0.0000
O18 0.5541 0.2031 0.4528
Pb10 0.7654 0.9568 0.1235
Pb11 0.9568 0.3765 0.2654
O19 0.2118 0.8790 0.1904
Al10 0.2184 0.0454 0.6070
Al11 0.0454 0.6070 0.2184
Al12 0.5745 0.4255 0.9255
O20 0.3790 0.1904 0.2882
Al13 0.5745 0.0745 0.4255
Al14 0.4255 0.5745 0.0745
O21 0.9459 0.7031 0.4528
O22 0.6210 0.8096 0.7118
O23 0.2031 0.0472 0.0541
Al15 0.7816 0.9546 0.3930
O24 0.8922 0.3922 0.1078
Pb12 0.7654 0.5432 0.6235
O25 0.1210 0.6904 0.2882
O26 0.2882 0.3790 0.1904
O27 0.2118 0.6210 0.6904
Pb13 0.5432 0.6235 0.7654
O28 0.1210 0.8096 0.7882
Pb14 0.0000 0.5000 0.0000
Pb15 0.6235 0.7654 0.5432
O29 0.7969 0.9528 0.9459
Pb16 0.2346 0.4568 0.3765
Al16 0.7184 0.4546 0.3930
*/
When transactions involving tax are posted to the Ledgers the Tax Identifier field (TRATAXC) is used to store either the tax regime identifier OR the tax identifier OR nothing on the following basis:
Stored | Details | When |
Tax Regime Identifier | The tax regime code padded with spaces to 6 characters followed by the tax class character – a total of 7 characters (jst(TAMCODE,’6X’,TACCLAS,’1X’)). | A/R or A/P transactions for invoices or credits (not payments or refunds). G/L transactions that have a value in the tax amount (TRATAX) field such as cash book or petty cash transactions when tax is involved. |
Tax Identifier | The tax code (government tax) padded with spaces to 3 characters followed by the tax class character – a total of 4 characters (jst(TAXCODE,’3X’,TACCLAS,’1X’)). | G/L transaction posted to a tax accrual account (account type T). It is this specific tax identifier that enables the tax analysis in the Sales Tax Analysis Results window. |
Nothing | Blank data. | G/L transactions not involving tax regime definition and not being posted to a tax accrual (type T) account. |
WARNING: Deleting any element of the tax structure will lead to the system applying a zero rate for the regime or class that is subsequently un-defined.
TIP: Normal practice in most countries has it that an invoice or other document showing tax should have a tax breakdown list and that the values are shown in local (tax authority) currency rather than the invoice currency. The program provides this by default. However, an Option optTaxListInCurrency can be used to override this so that the tax and turnover are listed in the document currency.
TIP: In almost all circumstances tax authorities apply tax directly on the value of the goods sold or purchased. However, in some cases, such as some import excise duties, taxes can be charged on an uplifted value of the goods. The program provides for this with an Option. optTaxOnUpliftValue is a list of TaxRegime,UpliftPercent, separated by commas, of those tax regimes where the tax is calculated on the goods value uplifted by a percentage. A negative percent rate would apply the tax on a reduced value.
File Path
File > System Manager > Taxes…
This file path takes you to the Tax Maintenance window. This window has 4 tabs.
Tax Class Definitions tab
Use this pane to define tax classes. Parts in the system are designated to a tax class and each government tax can have a tax rate for each tax class.
The tax class code is a single uppercase character. Therefore, you can have up to 36 classes if you wish. Typically, you have only a few. These provide default classifications for products that incur different tax rates.
Tax Class List
List of all tax classes. Parts in the system are designated to a tax class.
Tax Class
Tax class (related to TARCLAS).
Class description.
New Class button
Click to add a new tax class to the system.
Check Master Data button
To perform a test of tax field validity in the master document data.
If tax regimes are removed, by default any master records that retain the now missing regime will have zero tax applied. This function can be used to check for master records that do not hold current tax regimes.
Print Report button
To print a report of tax setup.
Revert button
Revert the edited tax data to that saved on file.
Save button
Save the edited tax details to file.
WARNING: Deleting a tax class (click on the list line and use the delete key) that is assigned elsewhere in the system will lead to the system applying a zero rate for the class that is subsequently un-defined.
Tax Definitions and Rates tab
Government sales and purchase taxes. Each tax has a rate for each tax class and tax regimes contain one or more taxes.
These are the actual taxes that are paid to governments. It is here that you define how the taxes are calculated and where in the Ledgers (if licensed) the tax charged is accrued. If you have Ledgers licensed you must assign a G/L type T account as each tax’s accrual account, however, multiple taxes can be accrued to the same account.
The options control how the tax is calculated. Some taxes in multiple tax environments are charged on the taxed sale. For example, Quebec state sales tax is charged on the sale after Canadian federal sales tax has been applied. This is a compound tax. To affect this the Quebec sales tax should be the second tax in a regime, with the federal tax first. The Quebec tax is marked as a ‘Tax is calculated compound’. If the federal tax is 10% and the Quebec tax is 5%; for a $100 sale, federal tax is $10.00 and Quebec tax is 5% * $110 = $5.50 and not $5.00.
Tax authorities also vary in their treatment of Quick-Payment Discounts. In the UK and other European VAT territories, tax is charged on the discounted sale regardless of whether, in due course, the discount is granted to the customer. The tax authority’s view is that a quick-payment discount is in practice a ‘late-payment finance charge’ and as such is not taxable. For example, if you sell a GBP100 item with a quick-payment discount of 5% and a VAT rate of 10%, the tax will be 10% * GBP95 = GBP9.50. If the customer pays on time, he pays GBP95.00 + 9.50 = GBP104.50 or if he is a late payer GBP100.00 + 9.50 = GBP109.50.
The Expense when purchase is a special case in that the tax calculated is not accrued but posted to the cost account of the transaction in the G/L. This is appropriate when you cannot claim the tax back but want it individually recorded in the A/P, particularly when combined with taxes which can be accrued.
Tax List
List of all government taxes. Each tax has a rate for each tax class and tax regimes contain one or more taxes.
Tax Code
Unique tax code (related to TALTAXC and TARTAXC).
Tax description.
Options – Tax is calculated compound (tax on tax)
Tax is calculated compound (tax on preceding taxed value).
Options – Quick-payment discount is not taxable
Quick payment discount is not taxable.
Options – expense when purchase (not accrued)
Tax is expensed on a purchase rather than accrued.
Accural a/c
General Ledger accrual account.
G/L a/c description
General Ledger Accounts description.
Reg. No
Tax authority registration number.
User ID
User ID to use when communication with the tax authority.
Plain button
Toggle to show in plain text.
New Tax button
Click to add a new government tax to the system. If the tax is to be used it must then be included in a Tax Regime.
Tax Rate for Selected Tax
List of all tax class percent rates for the selected tax.
Tax Class
The tax class.
Rate in Percent
Tax rate in percent.
Class Description
Description of the tax class.
Tax Regimes tab
Tax regimes generally apply to customers and suppliers. They contain one or more taxes. When tax is applied the tax regime is combined with the tax class to arrive at the appropriate tax rates.
To generate a tax regime, enter a code of up to 6 characters and a description, then drag a tax from the taxes listed at the bottom right and drop it onto the list above. When applying more than one tax, the order is significant when a second or subsequent tax is a compound tax. To change the order in the list click and edit the numbers in the list.
The type of regime is significant in where it will be made available to users; either sales or purchase or both. Only sales taxes are of use if you do not have the Ledgers license.
Regime List
List of all tax regimes that can be applied by users of the system. Regimes can contain more than one tax. Each tax in a regime has a rate for each tax class.
Regime Code
Tax regime code used in transactions (related to TALCODE).
Tax description for user to identify (can combine multiple taxes).
Regime Type
Tax type – determines when the regime is offered to the user (0 = Sales and Purchase (VAT), 1 = Sales only, 2 = Purchase only).
List of Taxes for Selected Regime
List of taxes that apply to the regime. The order is only significant when taxes are compound. Drag a tax from the list below to add a tax to the regime.
Tax List
List of all government taxes. Drag a tax from this list to add it to a regime.
New Regime button
Click to add a new tax regime which must have at least one tax assigned.
Regime Tax Matrix
This pane provides a listing of net rates for the tax classes and regimes.
Net Tax List
List of all net tax rates for each tax class and each regime.
See also: | Sales Tax Analysis Results |
Compiled in Program Version 6.00. Help date last modified on 5 February 2024
Class wtaxmaint (Tax Maintenance) last modified 25 May 2022 FP: File > System Manager > Taxes…